_Job_
Return only the last part of the data further below, starting with the line that has "(-0.56, -2.04,".

_Entries_
'''
A molecular structure, C14H23NS4Y in a non-equilibrium geometry. Source: the Open Molecules 2025 dataset; level of theory: ωB97M-V/def2-TZVPD.

Last column: Löwdin charge in e.
Positions of all 43 atoms, in Å:
Y (-0.25, 0.50, 0.01)  0.83
S (-0.59, -2.18, -0.60)  0.81
S (-0.73, 3.11, -0.69)  0.81
C (0.98, -3.03, -0.22)  -0.34
C (-0.56, -2.04, -2.44)  -0.41
C (0.18, -0.83, -2.99)  -0.24
N (-0.37, 0.44, -2.43)  -0.19
C (0.24, 1.69, -2.99)  -0.24
C (-0.51, 2.94, -2.52)  -0.41
H (-1.61, -2.04, -2.75)  0.08
H (-0.11, -2.97, -2.79)  0.10
H (0.06, -0.84, -4.08)  0.14
H (1.25, -0.89, -2.75)  0.13
H (0.18, 1.67, -4.09)  0.14
H (1.29, 1.73, -2.69)  0.13
H (-1.53, 2.97, -2.93)  0.09
H (0.01, 3.85, -2.84)  0.10
C (0.79, 3.97, -0.11)  -0.31
H (-1.35, 0.46, -2.72)  0.11
H (1.65, 3.54, -0.63)  0.05
H (0.85, 3.80, 0.97)  0.03
H (0.70, 5.05, -0.31)  0.05
H (1.11, -3.00, 0.86)  0.03
H (1.80, -2.47, -0.70)  0.03
H (0.94, -4.06, -0.57)  0.06
C (-2.53, 0.50, 0.71)  -0.23
C (-2.72, 0.41, -0.65)  -0.17
H (-2.75, 1.42, 1.25)  0.07
H (-2.48, -0.40, 1.35)  0.09
H (-3.01, 1.29, -1.24)  0.07
H (-2.96, -0.54, -1.14)  0.07
S (-0.18, 1.45, 2.53)  0.59
C (0.49, -0.01, 3.11)  -0.74
C (-0.11, -0.64, 4.24)  -0.12
C (0.42, -1.82, 4.75)  -0.09
C (1.53, -2.42, 4.15)  -0.09
C (2.12, -1.85, 3.03)  -0.15
C (1.63, -0.64, 2.46)  -0.77
S (2.27, 0.00, 1.01)  0.50
H (-0.99, -0.17, 4.66)  0.10
H (-0.04, -2.26, 5.65)  0.11
H (1.94, -3.34, 4.57)  0.11
H (2.97, -2.34, 2.54)  0.11

**Gap between HOMO and LUMO (alpha / beta)**: 5.29 / 5.29 eV
**LUMO energy (alpha / beta)**: -4.37 / -4.38 eV
**Net charge**: +1
**M**: 422.5 g/mol

---

A molecular structure, C7H20BrLiO5 in a non-equilibrium geometry. Source: the Open Molecules 2025 dataset; level of theory: ωB97M-V/def2-TZVPD.

Last column: Löwdin charge in e.
Positions of all 34 atoms, in Å:
Li (28.02, 14.47, 23.76)  0.69
Br (26.09, 15.57, 24.73)  0.06
C (24.79, 13.56, 29.56)  -0.07
C (25.60, 14.68, 28.93)  -0.48
C (26.74, 15.13, 29.88)  -0.06
O (26.30, 14.23, 27.76)  -0.12
H (24.51, 13.89, 30.57)  0.07
H (25.29, 12.60, 29.70)  0.08
H (23.87, 13.38, 28.99)  0.07
H (24.92, 15.48, 28.66)  0.14
H (27.07, 16.12, 29.54)  0.06
H (27.59, 14.47, 29.92)  0.08
H (26.34, 15.35, 30.87)  0.07
H (25.89, 14.64, 26.98)  -0.07
C (26.95, 18.59, 27.11)  -0.28
C (26.21, 19.93, 27.05)  -0.23
O (25.44, 20.04, 28.25)  -0.08
O (27.58, 18.35, 25.88)  -0.11
H (26.26, 17.83, 27.50)  0.11
H (27.69, 18.67, 27.92)  0.11
H (25.58, 20.00, 26.17)  0.12
H (26.94, 20.75, 26.99)  0.12
H (26.03, 20.24, 28.98)  0.08
H (27.36, 17.48, 25.51)  -0.07
C (23.61, 16.51, 21.32)  -0.24
C (23.87, 15.03, 21.05)  -0.25
O (25.19, 14.68, 21.46)  -0.11
O (23.38, 16.79, 22.70)  -0.09
H (22.70, 16.84, 20.83)  0.12
H (24.49, 17.08, 21.02)  0.12
H (23.80, 14.90, 19.96)  0.11
H (23.05, 14.37, 21.35)  0.12
H (25.21, 14.93, 22.39)  -0.06
H (24.07, 16.43, 23.26)  -0.04

**ΔE to the lowest compared entry with this formula, charge and spin**: 37.2 kJ/mol
**Gap between HOMO and LUMO**: 8.20 eV
**LUMO energy**: -1.38 eV
**Net charge**: 0
**M**: 271.1 g/mol

---

5 unconnected molecules or ions with the total composition C23H62IO22P6 in a non-equilibrium geometry. Source: the Open Molecules 2025 dataset; level of theory: ωB97M-V/def2-TZVPD.

Last column: Löwdin charge in e.
Positions of all 114 atoms, in Å:
C (6.75, -4.76, 0.06)  -0.09
C (5.74, -3.59, 0.16)  -0.39
C (6.44, -2.27, 0.60)  -0.08
C (4.94, -3.35, -1.17)  -0.30
C (4.74, -4.63, -2.01)  -0.08
C (3.58, -2.65, -0.77)  -0.27
O (2.50, -3.54, -0.84)  -0.30
P (1.42, -3.44, 0.51)  0.55
C (1.29, -5.31, 0.85)  -0.30
C (2.23, -6.23, 0.04)  -0.35
C (1.71, -7.71, 0.21)  -0.66
I (3.25, -9.14, 0.71)  0.63
O (1.25, -1.71, 0.40)  -0.31
C (0.55, -1.41, -0.77)  -0.29
C (-0.68, -2.42, -0.71)  -0.37
P (-1.78, -1.69, 0.61)  0.57
O (-1.76, -2.41, 1.89)  -0.31
O (-3.38, -1.64, 0.14)  -0.16
O (-1.41, -0.11, 0.89)  -0.18
O (-0.06, -3.64, -0.45)  -0.27
H (6.26, -5.74, 0.04)  0.07
H (7.36, -4.65, -0.86)  0.08
H (7.44, -4.77, 0.92)  0.07
'''

_Worked solution_
C (-0.56, -2.04, -2.44)  -0.41
C (0.18, -0.83, -2.99)  -0.24
N (-0.37, 0.44, -2.43)  -0.19
C (0.24, 1.69, -2.99)  -0.24
C (-0.51, 2.94, -2.52)  -0.41
H (-1.61, -2.04, -2.75)  0.08
H (-0.11, -2.97, -2.79)  0.10
H (0.06, -0.84, -4.08)  0.14
H (1.25, -0.89, -2.75)  0.13
H (0.18, 1.67, -4.09)  0.14
H (1.29, 1.73, -2.69)  0.13
H (-1.53, 2.97, -2.93)  0.09
H (0.01, 3.85, -2.84)  0.10
C (0.79, 3.97, -0.11)  -0.31
H (-1.35, 0.46, -2.72)  0.11
H (1.65, 3.54, -0.63)  0.05
H (0.85, 3.80, 0.97)  0.03
H (0.70, 5.05, -0.31)  0.05
H (1.11, -3.00, 0.86)  0.03
H (1.80, -2.47, -0.70)  0.03
H (0.94, -4.06, -0.57)  0.06
C (-2.53, 0.50, 0.71)  -0.23
C (-2.72, 0.41, -0.65)  -0.17
H (-2.75, 1.42, 1.25)  0.07
H (-2.48, -0.40, 1.35)  0.09
H (-3.01, 1.29, -1.24)  0.07
H (-2.96, -0.54, -1.14)  0.07
S (-0.18, 1.45, 2.53)  0.59
C (0.49, -0.01, 3.11)  -0.74
C (-0.11, -0.64, 4.24)  -0.12
C (0.42, -1.82, 4.75)  -0.09
C (1.53, -2.42, 4.15)  -0.09
C (2.12, -1.85, 3.03)  -0.15
C (1.63, -0.64, 2.46)  -0.77
S (2.27, 0.00, 1.01)  0.50
H (-0.99, -0.17, 4.66)  0.10
H (-0.04, -2.26, 5.65)  0.11
H (1.94, -3.34, 4.57)  0.11
H (2.97, -2.34, 2.54)  0.11

**Gap between HOMO and LUMO (alpha / beta)**: 5.29 / 5.29 eV
**LUMO energy (alpha / beta)**: -4.37 / -4.38 eV
**Net charge**: +1
**M**: 422.5 g/mol

---

A molecular structure, C7H20BrLiO5 in a non-equilibrium geometry. Source: the Open Molecules 2025 dataset; level of theory: ωB97M-V/def2-TZVPD.

Last column: Löwdin charge in e.
Positions of all 34 atoms, in Å:
Li (28.02, 14.47, 23.76)  0.69
Br (26.09, 15.57, 24.73)  0.06
C (24.79, 13.56, 29.56)  -0.07
C (25.60, 14.68, 28.93)  -0.48
C (26.74, 15.13, 29.88)  -0.06
O (26.30, 14.23, 27.76)  -0.12
H (24.51, 13.89, 30.57)  0.07
H (25.29, 12.60, 29.70)  0.08
H (23.87, 13.38, 28.99)  0.07
H (24.92, 15.48, 28.66)  0.14
H (27.07, 16.12, 29.54)  0.06
H (27.59, 14.47, 29.92)  0.08
H (26.34, 15.35, 30.87)  0.07
H (25.89, 14.64, 26.98)  -0.07
C (26.95, 18.59, 27.11)  -0.28
C (26.21, 19.93, 27.05)  -0.23
O (25.44, 20.04, 28.25)  -0.08
O (27.58, 18.35, 25.88)  -0.11
H (26.26, 17.83, 27.50)  0.11
H (27.69, 18.67, 27.92)  0.11
H (25.58, 20.00, 26.17)  0.12
H (26.94, 20.75, 26.99)  0.12
H (26.03, 20.24, 28.98)  0.08
H (27.36, 17.48, 25.51)  -0.07
C (23.61, 16.51, 21.32)  -0.24
C (23.87, 15.03, 21.05)  -0.25
O (25.19, 14.68, 21.46)  -0.11
O (23.38, 16.79, 22.70)  -0.09
H (22.70, 16.84, 20.83)  0.12
H (24.49, 17.08, 21.02)  0.12
H (23.80, 14.90, 19.96)  0.11
H (23.05, 14.37, 21.35)  0.12
H (25.21, 14.93, 22.39)  -0.06
H (24.07, 16.43, 23.26)  -0.04

**ΔE to the lowest compared entry with this formula, charge and spin**: 37.2 kJ/mol
**Gap between HOMO and LUMO**: 8.20 eV
**LUMO energy**: -1.38 eV
**Net charge**: 0
**M**: 271.1 g/mol

---

5 unconnected molecules or ions with the total composition C23H62IO22P6 in a non-equilibrium geometry. Source: the Open Molecules 2025 dataset; level of theory: ωB97M-V/def2-TZVPD.

Last column: Löwdin charge in e.
Positions of all 114 atoms, in Å:
C (6.75, -4.76, 0.06)  -0.09
C (5.74, -3.59, 0.16)  -0.39
C (6.44, -2.27, 0.60)  -0.08
C (4.94, -3.35, -1.17)  -0.30
C (4.74, -4.63, -2.01)  -0.08
C (3.58, -2.65, -0.77)  -0.27
O (2.50, -3.54, -0.84)  -0.30
P (1.42, -3.44, 0.51)  0.55
C (1.29, -5.31, 0.85)  -0.30
C (2.23, -6.23, 0.04)  -0.35
C (1.71, -7.71, 0.21)  -0.66
I (3.25, -9.14, 0.71)  0.63
O (1.25, -1.71, 0.40)  -0.31
C (0.55, -1.41, -0.77)  -0.29
C (-0.68, -2.42, -0.71)  -0.37
P (-1.78, -1.69, 0.61)  0.57
O (-1.76, -2.41, 1.89)  -0.31
O (-3.38, -1.64, 0.14)  -0.16
O (-1.41, -0.11, 0.89)  -0.18
O (-0.06, -3.64, -0.45)  -0.27
H (6.26, -5.74, 0.04)  0.07
H (7.36, -4.65, -0.86)  0.08
H (7.44, -4.77, 0.92)  0.07